
“The WSWS has not only commented on the struggles of the working class it has been an active participant in them”

The WSWS is publishing the speeches delivered by leading members of the ICFI and contributors to the WSWS at the online rally held October 25 to welcome the relaunching of the WSWS that began with the postings of October 2, 2020. The remarks below were given by Jerry White, a member of the Socialist Equality Party (US) national committee and a leading writer on the WSWS.

As other speakers have explained, when the World Socialist Web Site was initially launched in 1998 the International Committee of the Fourth International set out as its task the revival of a socialist culture in the international working class, the preparation of the leadership for the next stage of the capitalist crisis and resurgence of the class struggle and the practical organizer of the of the world proletariat to achieve its revolutionary tasks.

We are relaunching the WSWS amid the greatest breakdown of the world capitalist system, with more than a million dead and an economic and social catastrophe not seen since the Great Depression of the 1930s. The mass slaughter in the European battlefields of World War I was not ended until the entry of the working class. The same is true in the present when the working class once again faces issues of life and death in the face of the pandemic and the criminal policies of the ruling class. The period will see an unprecedented entry of the global working class into historic struggles and the WSWS and the ICFI will play an ever more decisive role in the direction of the class struggle and its development into socialist transformation of the world.

Next to the piece, the page also holds crystal structures:
<<<
Starting from the PBE geometry in Alexandria, the powder X-ray diffraction pattern of YErAlGa was calculated for copper Kα.
Kinematic intensities with the Lorentz-polarization factor, no thermal factor.

Largest 10 diffraction maxima, low angle first, 10° ≤ 2θ ≤ 90°:
2θ/deg	I (rel.)
21.86	37
27.35	33
31.12	100
31.88	50
32.69	29
39.02	49
39.70	19
41.16	25
44.67	20
55.92	20

Unit cell a=4.0571 b=5.9017 c=5.9017 alpha=43.63 beta=90.00 gamma=90.00
Positions (direct):
Y 0.0000 0.0000 0.0000
Er 0.5000 0.7193 0.7193
Al 0.0000 0.2873 0.2873
Ga 0.5000 0.4377 0.4377
>>>

The late 1980s and the decade of 1990s saw the final betrayal and transformation of all the old nationally based labor organizations, from Stalinist bureaucracies in the USSR, Eastern Europe and China, to the European and Australian social democratic parties and bourgeois national movements in the oppressed countries, to the AFL-CIO in the United States, which destroyed what had once been the American labor movement and fully embraced the corporatist program of labor-management collusion to suppress the class struggle.

The unprecedented globalization of capitalist production drove the final nail into all of these organizations, which were based on the outmoded nation-state system. The ICFI insisted that the next stage of development of the class struggle would take the form of a rebellion against the old labor bureaucracies and increasingly a globally coordinated struggle by the working class against the transnational corporations.

This theoretically guided conception has been borne out, and for nearly 23 years, the WSWS has emerged as the invaluable instrument of the international working class, providing workers with a voice for its daily struggles, the organizational means to unite across borders and the lessons of the history of the class struggle and socialist movement, which are necessary to transform its spontaneous struggles into a politically conscious struggle for workers power and world socialism.

There is no other web site that has such an orientation to and deep relationship with the struggles of the working class. In the course of that last two decades, we have produced thousands of articles on the conditions and struggles of workers. In recent months, some of our most widely read articles concern issues facing the working class.

These include one article on the gutting of art and music programs in a Massachusetts school district which had 690,000 readers. Another on the mass layoffs of teachers being planned across the US was read 98,000 times. A letter from a frontline nurse at a UK hospital had 96,000 readers.

And what we write has had a direct impact on the course of the class struggle. In mid-March, just days after more than quarter million workers read the WSWS article, “Shutdown the auto industry to stop the spread of the coronavirus” and our report on job actions by Fiat Chrysler workers in Windsor, Canada, a wave of wildcat strikes broke out at factories in Michigan, Indiana and Ohio, which forced the closure of the North American auto industry and lockdowns across the country.

_What comes next are calculated crystals, not part of the text_
(1)
Starting from a cell relaxed with GGA+U, the powder diffractogram of V2Bi4O11 was simulated for Cu Kα X-rays.
Neutral-atom scattering factors, no anomalous dispersion.

Atomic structure:
```
V2Bi4O11
1.0
2.802 -7.745 0.000
2.802 7.745 0.000
-0.049 0.000 5.580
V Bi O
2 4 11
Direct
0.000 0.000 0.000
0.535 0.535 0.525
0.273 0.942 0.445
0.367 0.711 0.965
0.711 0.367 0.965
0.942 0.273 0.445
0.043 0.244 0.026
0.063 0.564 0.708
0.067 0.579 0.209
0.244 0.043 0.026
0.270 0.270 0.671
0.399 0.602 0.386
0.564 0.063 0.708
0.579 0.067 0.209
0.602 0.399 0.386
0.759 0.759 0.772
0.855 0.855 0.266
```

Largest 10 diffraction maxima, in order of falling intensity, 2θ from 10° to 90°:
2θ 28.51, I 100; 2θ 28.35, I 85; 2θ 11.42, I 48; 2θ 32.08, I 31; 2θ 58.49, I 28; 2θ 34.75, I 26; 2θ 31.94, I 26; 2θ 48.01, I 23; 2θ 47.91, I 20; 2θ 23.12, I 17

=====

(2)
Starting from a cell relaxed with GGA+U, the powder diffractogram of V2Bi4O11 was simulated for Cu Kα X-rays.
Neutral-atom scattering factors, no anomalous dispersion.

Atomic structure:
```
V2Bi4O11
1.0
7.741 -2.807 0.000
7.741 2.807 0.000
-0.143 0.000 11.153
V Bi O
4 8 22
Direct
0.000 0.000 0.000
0.515 0.466 0.774
0.534 0.485 0.226
0.955 0.045 0.500
0.194 0.131 0.255
0.207 0.149 0.749
0.288 0.377 0.013
0.312 0.357 0.499
0.623 0.712 0.987
0.643 0.688 0.501
0.851 0.793 0.251
0.869 0.806 0.745
0.003 0.477 0.374
0.016 0.490 0.623
0.017 0.794 0.463
0.024 0.495 0.870
0.183 0.031 0.951
0.206 0.983 0.537
0.290 0.641 0.888
0.301 0.541 0.672
0.359 0.710 0.112
0.370 0.434 0.250
0.459 0.699 0.328
0.505 0.976 0.130
0.510 0.984 0.377
0.521 0.001 0.871
0.523 0.997 0.626
0.566 0.630 0.750
0.770 0.175 0.878
0.770 0.189 0.630
0.811 0.230 0.370
0.825 0.230 0.122
0.969 0.817 0.049
0.999 0.479 0.129
```

Largest 10 diffraction maxima, in order of falling intensity, 2θ from 10° to 90°:
2θ 28.30, I 100; 2θ 28.56, I 97; 2θ 11.43, I 48; 2θ 45.88, I 31; 2θ 32.10, I 31; 2θ 31.89, I 28; 2θ 54.78, I 27; 2θ 34.77, I 24; 2θ 47.89, I 22; 2θ 55.22, I 16

=====

(3)
Starting from a cell relaxed with GGA+U, the powder diffractogram of V6Bi4O19 was simulated for Cu Kα X-rays.
Neutral-atom scattering factors, no anomalous dispersion.

Atomic structure:
```
V6Bi4O19
1.0
7.782 0.000 0.000
-2.662 7.385 0.000
-2.567 -3.658 6.570
V Bi O
6 4 19
Direct
0.000 0.000 0.000
0.009 0.313 0.341
0.172 0.814 0.672
0.352 0.137 0.495
0.666 0.189 0.865
0.848 0.509 0.688
0.141 0.324 0.790
0.467 0.606 0.439
0.475 0.934 0.110
0.837 0.720 0.212
0.126 0.973 0.534
0.170 0.309 0.193
0.171 0.614 0.458
0.186 0.644 0.841
0.209 0.004 0.915
0.210 0.971 0.235
0.238 0.327 0.548
0.484 0.928 0.829
0.511 0.028 0.557
0.513 0.304 0.837
0.529 0.678 0.194
0.552 0.358 0.499
0.781 0.292 0.143
0.836 0.015 0.808
0.847 0.698 0.893
0.858 0.997 0.177
0.871 0.655 0.539
0.883 0.370 0.865
0.886 0.289 0.523
```

Largest 10 diffraction maxima, in order of falling intensity, 2θ from 10° to 90°:

We often get reports from workers informing us that the influence of the WSWS in the factories and other workplaces is far wider than we realize. But it is a fact that WSWS and our digital newsletters have become the center of opposition by autoworkers, teachers, Amazon workers, transit workers, and others against the homicidal “herd immunity” policy of the capitalist governments around the world.

During the pandemic, we have held online calls uniting transit workers in London, Berlin and New York City, among autoworkers in the US, Canada and Mexico, and teachers from the US, Australia, Britain, Brazil and Argentina. Autoworkers, educators, tea plantation workers in Sri Lanka and others have taken up our call for the formation of rank-and-file safety committees, independent of the unions, to counterpose the struggle for life by workers to the conspiracy of death by the corporations, unions and corporate-controlled parties.

The “factory exposures” conducted by the Russian social democrats in the mid-1890s, Lenin said, evoked a “veritable passion” among workers to “get into print,” with the revolutionary party literally flooded with correspondences from the factories and workplaces. Today, workers email the WSWS.

But the fight for socialist consciousness, Lenin insisted and the ICFI insists today, requires the all-around political education of the working class, on the international scope of its struggles and the political lessons of its historical experiences. This demonstrates that the creation a world without war, inequality and oppression is only possible if the working class takes political and economic power into its own hands and establishes world socialism.

For the working class to conduct and unify its struggles, an implacable fight must be waged against the nationalist poison and militarism promoted by the unions and their pseudo-left supporters, which seek to divide workers along national, ethnic, linguistic and racial lines. The WSWS has proudly fought to unite the international working class on the basis of the program of world socialist revolution, drawing to the attention of the most advanced sections of workers the critical struggles over the last two decades and drawing out the strategic lessons from these experiences.

This includes the Indonesia upheavals in 1998; the worldwide struggles against the US imperialism’s 2003 invasion of Iraq; the global financial crash of 2008-09 and its aftermath; the Tunisian and Egyptian revolutions in 2011 and Wisconsin protests the same year; the Marikana Massacre in South Africa and the frameup of the Maruti Suzuki workers in India in 2012 and the anti-austerity protests in Greece and Spain in 2015-16, which were betrayed by Syriza and Podemos.

It also includes the global wave of strikes and protests in 2018-19: the Yellow Vests in France; the teacher strikes that started in West Virginia and other US states that spread internationally; the revolt of the Mexican maquiladora workers; the US General Motors strike and the heroic stand of GM workers in Silao, Mexico; the mass protests in Chile, Puerto Rico, Iraq; and most recently the global protests against police killings in the US, Nigeria and other countries and the struggles against unsafe conditions during the pandemic.

The WSWS has not only commented on these struggles, it has been an active participant in them. All of these strategic experiences have been analyzed and their lessons are much more accessible for our readers to study in the section of the WSWS titled “Global Class Struggle.”

Bitter experience has demonstrated that the trade unions cannot be reformed, despite the claims of various pseudo-left organizations. All such efforts have only resulted in tragedy for the working class and lucrative positions for affluent layers of the upper middle class.

Perhaps the clearest example of the anti-working-class character of the unions was the 2012 massacre of 41 platinum miners in South Africa, which was overseen by the National Union of Mineworkers (NUM) and the Congress of South Africa Trade Unions (COSATU), whose leader, the billionaire Cyril Ramaphosa, is now the president of one of the most unequal countries in the world. But the transformation of the unions into direct instruments of the ruling class is a universal process. This is underscored by the revelations about the multi-million-dollar corporate payoffs to the United Auto Workers in exchange for its help in slashing wages and destroying the eight-hour day for autoworkers.

This analysis has allowed the ICFI to understand the role the unions play and will play. That is why in the fight against the pandemic and the historic economic, social and political crisis in the US and internationally, we are aiding workers in developing rank-and-file factory, workplace and neighborhood committees, independent of the unions. And we are connecting the immediate demands of workers—for health and safety and against austerity—with a broader political perspective.

We call for the development of a movement for a political general strike against any effort by Trump to incite right-wing violence, overturn the outcome of the vote and steal the election. This fight, however, cannot be politically subordinated to the maneuvers of Biden and the Democrats who are opposed to any genuine fight against fascism, militarism and social inequality.

In the coming weeks and months, we must develop the WSWS and its coverage, pay the closest attention to the conditions of workers, which are covered up by the media and ignored by the capitalist politicians, and the growth of resistance by the working class. In all of this work, the basic aim is to develop a socialist leadership in the working class. In doing this, the ICFI and WSWS will play an ever more decisive role in the development and direction of the global class struggle.

At the turn of the last century, Lenin said the All-Russian Marxist newspaper, guided by an international socialist perspective, would be the scaffolding for the building of a revolutionary movement. That movement took power in October 1917. Today, the international working class has an immense weapon—the WSWS—to coordinate the ever more complex and challenging work of the ICFI, educate the most advanced workers and youth, unite their international struggles and provide the necessary perspective and leadership for the final overthrow of capitalism and victory of world socialism.
